Plains Indians Free Writing Prompts.
You know my passion for unit studies and some things like writing, I just taught on the spot and took topics from books or things we were learning about. Isn’t that the best way to teach writing anyway? Also, look at my page homeschool middle school and how to homeschool high school page for more fun tips
Then, writing has a meaningful purpose to either a budding writer or an advanced writer.
So I have started working my way through creating writing prompts and topics for you on each of my unit studies here on my site.
You can look over and grab the first set of ideas for my Ancient Civilization unit study here on 20 Ideas For Bringing Writing Alive Through Unit Studies.
Today, I have created writing prompts from my Plains Indians Unit Study and Lapbook page.
Also, I divided them out by grade level, not that I so believe in grade level, but because I know that like my kids, your kids too are at different levels for their writing ability.

This will give you choices for a range of difficulties. Too, I have topics that are both factual and creative depending on what skills you are looking to strengthen in your child’s writing.
Middle to High School Plains Indian Writing Prompts and Topics
(Remember, for some of these topics, you will need to look at my Plains Indians Unit Study and Lapbook Page.)
■When Ten Bears he said he was born on the prairie, do you think he was talking only about his birth?
■How would you feel if you were forbidden to speak in your native language?
■If you were a pioneer traveling West, what Native American tribe would you want to encounter and why?
■Use pictographs and write (draw) a Native American tale.
■Choose one of the tribes from the Plains and write about their life, the food they ate and why buffalo were so important to them. Look here at ledger drawings to understand how they felt about their life on The Plains.
_Data records, kept here for reference_
~~~
# 1
! TaGaP2SO12 PBE optimized geometry; values from VASP
&SYSTEM
  ibrav = 0, nat = 102, ntyp = 5
/
ATOMIC_SPECIES
S 32.06 S.upf
O 16.00 O.upf
Ga 69.72 Ga.upf
P 30.97 P.upf
Ta 180.95 Ta.upf
ATOMIC_POSITIONS angstrom
S -5.167 2.650 -0.460
S -6.982 -3.131 -3.316
S -7.879 -5.827 0.624
S -11.396 -5.830 3.975
S -14.109 -14.307 5.059
S -16.521 -8.205 0.375
O -0.903 -3.844 -3.588
O -15.456 -14.835 4.863
O -5.125 -10.179 -1.917
O -7.061 -5.526 -0.589
O -17.343 -10.295 6.034
O -6.387 -2.599 -4.579
O -6.316 -1.305 0.264
O -4.287 -5.218 -1.009
O -7.144 -5.626 1.857
O -6.299 3.646 -0.518
O -19.113 -9.328 4.132
O -10.471 -6.950 4.380
O -6.057 -4.251 -2.911
O -14.259 -14.450 1.169
O -2.702 0.722 -2.268
O -7.197 -6.826 -3.080
O -15.469 -6.778 4.043
O -5.854 0.014 -5.503
O -4.485 1.651 -4.164
O -8.422 -7.183 0.608
O -12.979 -7.720 1.239
O -12.929 -7.596 -1.257
O -14.813 -3.080 2.442
O -13.514 -13.775 3.796
O -8.329 -3.658 -3.513
O -10.976 -3.408 -0.838
O -13.637 -10.663 5.233
O -9.773 -14.003 0.495
O -17.583 -6.063 5.235
O -13.959 -8.921 3.455
O -2.334 -1.030 -0.589
O -4.469 -6.481 -3.517
O -12.743 -6.357 3.779
O -5.414 -7.756 -1.183
O -13.688 -11.885 0.246
O -10.269 -2.684 1.789
O -4.527 -0.986 -1.809
O -9.545 -6.222 -3.836
O -5.981 -3.109 2.006
O -10.801 -5.298 2.712
O -8.204 0.047 -1.087
O -2.904 -3.594 0.333
O -9.223 -7.964 -2.058
O -11.612 -9.525 4.212
O -5.709 1.295 -0.476
O -15.478 -12.291 2.391
O -9.029 -9.783 1.348
O -2.422 -7.214 -4.653
O -2.729 -2.927 -5.435
O -17.671 -12.161 1.100
O -11.546 -5.972 0.084
O -13.629 -16.908 1.082
O -17.336 -13.965 2.842
O -6.510 0.513 -3.142
O -7.239 -9.463 -0.724
O -14.056 -10.134 -1.432
O -10.266 0.757 0.155
O -10.917 -8.431 -0.003
O -2.413 -1.701 -3.001
O -12.981 -11.162 2.873
O -14.623 -5.487 1.758
O -9.011 -4.832 0.566
O -4.348 2.952 -1.673
O -15.786 -8.004 1.609
O -14.137 -13.320 6.121
O -7.010 -2.144 -2.255
O -11.724 -13.309 1.651
O -17.064 -9.561 0.360
O -17.526 -11.558 3.526
O -9.723 -10.621 -1.171
O -15.692 -16.198 2.323
O -12.766 -3.814 1.306
Ga -6.363 -0.395 -1.453
Ga -13.490 -11.571 6.923
Ga -14.218 -7.203 2.618
Ga -9.075 -8.873 -0.369
Ga -11.505 1.275 1.534
Ga -1.161 -2.126 -4.426
P -5.678 -1.700 1.563
P -17.032 -12.555 2.399
P -5.955 1.145 -4.402
P -9.352 1.020 -1.023
P -5.754 -9.269 -0.902
P -3.041 -0.792 -1.986
P -14.320 -4.078 1.315
P -8.668 -7.332 -3.318
P -14.778 -15.935 1.145
P -12.065 -7.457 0.061
P -16.098 -5.869 5.057
P -13.082 -10.031 3.974
Ta -16.005 -2.667 3.867
Ta -13.651 -12.737 1.948
Ta -18.718 -11.145 4.951
Ta -2.296 -1.882 1.112
Ta -10.938 -4.260 0.864
Ta -5.661 -6.068 -2.092
CELL_PARAMETERS angstrom
-5.929 6.099 -1.332
1.702 -5.779 -6.208
-15.769 -13.554 8.127
! Size of the total moment: 0.00 μB per cell
! DFT total energy: -7.34 eV per atom

# 2
! ZrGaPS2O12 PBE optimized geometry; values from VASP
&SYSTEM
  ibrav = 0, nat = 102, ntyp = 5
/
ATOMIC_SPECIES
O 16.00 O.upf
S 32.06 S.upf
P 30.97 P.upf
Ga 69.72 Ga.upf
Zr 91.22 Zr.upf
ATOMIC_POSITIONS angstrom
O -3.386 6.271 9.212
~~~
■What are the elements of a myth? Read a myth that the Plain Indians believed in and write about why they believed in it.
■Sign language was invented out of necessity. Was sign language for the Plains Indians for the deaf? Write (and illustrate) about some of the sign language the Indians used.
■Indians used many different kind of wild plants for food. Acorns (shelled and ground into meal) and Sotol and Lechuguilla are plants of the agave family. The bulbs of these plants were cooked and eaten. Write about some of the food that the Plains Indians ate and how they made it. (Include a recipe too.)
■What are two ways that the flat area of the plains affected the Native Americans?
■What are 4 major contributions by the Plains Indians?
■(On my Plains Indian page). After reading the short story about the captivity of Lorinda Bewly with the Whitman group traveling to Oregon, write a brief essay about the meeting of two different cultures? Or were they that different after all? What do you think and why?
■What are two major differences between the Plains Indians and other Native Americans of that time?
■How are Plains Indians making contributions today?
■What was the view of woman during the times of the Plains Indians and compare that to how people feel today?
■Describe the social structure of the Plains Indians.
■In your opinion, did the early American settlers try to help or hinder the progress of Native Americans?
■Describe the art, beading and leather working of the Plains Indians.
■Do you think the Indians should have been paid for their land? Why or why not?
■Why was a dog and horse important to the Plains Indians?
■What did the Plains Indians live in? Describe how they decorated their tipis and draw your own design.
■What was winter like on the Plains compared to other Native Americans living at that time?
■What is pemmican and why was it important to the Plains Indians?
■Explain the many uses of the buffalo.
■Do you think the Plains Indians had pets? If so, what kind? How would you take care of a pet when living on the wide open plains?
■What do you think life would have been like in a tipi?
■Describe the life of a hunter and why hunting was important to the Plains Indians
■Why was corn important to the Plains Indians? Look here at my Fall Unit Study page to read about corn.
■Do you think the kids of the Plains Indians did school? How did they learn?
Hope you enjoyed these brainstorming ideas as well as some of the topics we wrote about. I have more free writing prompts coming on my other unit studies soon.
You may also love these other resources:
- 3 Ways to Choose the BEST Writing Curriculum (for a Growing Homeschool Family)
- The Trail of Tears 1820 – 1845 Unit Study & Lapbook
- 3 Unexpected Benefits of Homeschool Narration
- Free Middle and High School Homeschool Language Arts
Hugs and love ya,

I would love to utilize unit studies more in our homeschool. Great writing prompts.
Thanks for linking up with me at Junior High Junction. I hope to see more of your posts in the coming weeks.
Very welcome Megan!!